Assignment
Now restate all of the contents underneath unchanged.

Given
Ba3SrY8Cu4O20 | PBE-GGA | optimized geometry

E (MP2020)	-7.9045	eV per atom
V	13.99	A^3/atom

```
data_Ba3SrY8Cu4O20
_chemical_formula_sum 'Ba3 Sr1 Y8 Cu4 O20'
_cell_length_a 7.236
_cell_length_b 5.696
_cell_length_c 12.221
_cell_angle_alpha 90.00
_cell_angle_beta 90.11
_cell_angle_gamma 90.00
_symmetry_space_group_name_H-M 'P 1 m 1'
_symmetry_Int_Tables_number 6
loop_
_symmetry_equiv_pos_as_xyz
'x,y,z'
'x,-y,z'
loop_
_atom_site_label
_atom_site_fract_x
_atom_site_fract_y
_atom_site_fract_z
_atom_site_occupancy
Ba1 0.000 0.000 0.000 1
Ba2 0.139 0.500 0.810 1
Ba3 0.638 0.000 0.499 1
Sr1 0.495 0.500 0.313 1
Y1 0.175 0.000 0.331 1
Y2 0.182 0.000 0.617 1
Y3 0.457 0.000 0.119 1
Y4 0.465 0.000 0.831 1
Y5 0.672 0.500 0.980 1
Y6 0.682 0.500 0.691 1
Y7 0.955 0.500 0.193 1
Y8 0.964 0.500 0.478 1
Cu1 0.290 0.500 0.068 1
Cu2 0.351 0.500 0.565 1
Cu3 0.787 0.000 0.245 1
Cu4 0.851 0.000 0.743 1
O1 0.152 0.000 0.805 1
O2 0.219 0.257 0.180 1
O3 0.233 0.257 0.472 1
O4 0.406 0.256 0.973 1
O5 0.424 0.254 0.677 1
O6 0.488 0.000 0.306 1
O7 0.647 0.500 0.498 1
O8 0.713 0.248 0.135 1
O9 0.732 0.244 0.837 1
O10 0.908 0.243 0.337 1
O11 0.923 0.247 0.632 1
O12 0.985 0.500 0.005 1
```

---

Ba2Tb2Ti2Cu2O11 | PBE-GGA | optimized geometry

E (MP2020)	-7.8458	eV per atom
V	12.82	A^3/atom

```
data_Ba2Tb2Ti2Cu2O11
_chemical_formula_sum 'Ba2 Tb2 Ti2 Cu2 O11'
_cell_length_a 3.907
_cell_length_b 3.907
_cell_length_c 15.956
_cell_angle_alpha 90.00
_cell_angle_beta 90.00
_cell_angle_gamma 90.00
_symmetry_space_group_name_H-M 'P 4/m m m'
_symmetry_Int_Tables_number 123
_symmetry_space_group_name_Hall '-P 4 2'
loop_
_atom_site_label
_atom_site_fract_x
_atom_site_fract_y
_atom_site_fract_z
_atom_site_occupancy
Ba1 0.000 0.000 0.233 1
Tb1 0.000 0.000 0.000 1
Tb2 0.000 0.000 0.500 1
Ti1 0.500 0.500 0.377 1
Cu1 0.500 0.500 0.102 1
O1 0.000 0.500 0.091 1
O2 0.000 0.500 0.391 1
O3 0.500 0.500 0.259 1
O4 0.500 0.500 0.500 1
```

---

Ba2CuTeO2 | PBE-GGA | optimized geometry

E (MP2020)	-5.4022	eV per atom
V	23.18	A^3/atom

```
data_Ba2CuTeO2
_chemical_formula_sum 'Ba2 Cu1 Te1 O2'
_cell_length_a 4.142
_cell_length_b 4.142
_cell_length_c 8.105
_cell_angle_alpha 90.00
_cell_angle_beta 90.00
_cell_angle_gamma 90.00
_symmetry_space_group_name_H-M 'P 4/m m m'
_symmetry_Int_Tables_number 123
_symmetry_space_group_name_Hall '-P 4 2'
loop_
_atom_site_label
_atom_site_fract_x
_atom_site_fract_y
_atom_site_fract_z
_atom_site_occupancy
Ba1 0.000 0.000 0.221 1
Cu1 0.500 0.500 0.000 1
Te1 0.500 0.500 0.500 1
O1 0.000 0.500 0.000 1
```

---

Ba2YTlCu2O7 | PBE-GGA | optimized geometry

E (MP2020)	-6.4855	eV per atom
V	14.82	A^3/atom

```
data_Ba2YTlCu2O7
_chemical_formula_sum 'Ba2 Y1 Tl1 Cu2 O7'
_cell_length_a 3.878
_cell_length_b 3.878
_cell_length_c 12.810
_cell_angle_alpha 90.00
_cell_angle_beta 90.00
_cell_angle_gamma 90.00
_symmetry_space_group_name_H-M 'P 4/m m m'
_symmetry_Int_Tables_number 123
_symmetry_space_group_name_Hall '-P 4 2'
loop_
_atom_site_label
_atom_site_fract_x
_atom_site_fract_y
_atom_site_fract_z
_atom_site_occupancy
Ba1 0.000 0.000 0.207 1
Y1 0.000 0.000 0.500 1
Tl1 0.500 0.500 0.000 1
Cu1 0.500 0.500 0.375 1
O1 0.000 0.000 0.000 1
O2 0.000 0.500 0.388 1
O3 0.500 0.500 0.165 1
```

---

Ba2TmCu3O7 | PBE-GGA | optimized geometry

E (MP2020)	-6.4461	eV per atom
V	13.55	A^3/atom

```
data_Ba2TmCu3O7
_chemical_formula_sum 'Ba2 Tm1 Cu3 O7'
_cell_length_a 3.822
_cell_length_b 3.926
_cell_length_c 11.738
_cell_angle_alpha 90.00
_cell_angle_beta 90.00
_cell_angle_gamma 90.00
_symmetry_space_group_name_H-M 'P m m m'
_symmetry_Int_Tables_number 47
loop_
_symmetry_equiv_pos_as_xyz
'x,y,z'
'-x,-y,-z'
'-x,-y,z'
'x,y,-z'
'x,-y,-z'
'-x,y,z'
'-x,y,-z'
'x,-y,z'
loop_
_atom_site_label
_atom_site_fract_x
_atom_site_fract_y
_atom_site_fract_z
_atom_site_occupancy
Ba1 0.000 0.000 0.182 1
Tm1 0.000 0.000 0.500 1
Cu1 0.500 0.500 0.000 1
Cu2 0.500 0.500 0.356 1
O1 0.000 0.500 0.382 1
O2 0.500 0.000 0.000 1
O3 0.500 0.000 0.381 1
O4 0.500 0.500 0.162 1
```

---

Done
Ba3SrY8Cu4O20 | PBE-GGA | optimized geometry

E (MP2020)	-7.9045	eV per atom
V	13.99	A^3/atom

```
data_Ba3SrY8Cu4O20
_chemical_formula_sum 'Ba3 Sr1 Y8 Cu4 O20'
_cell_length_a 7.236
_cell_length_b 5.696
_cell_length_c 12.221
_cell_angle_alpha 90.00
_cell_angle_beta 90.11
_cell_angle_gamma 90.00
_symmetry_space_group_name_H-M 'P 1 m 1'
_symmetry_Int_Tables_number 6
loop_
_symmetry_equiv_pos_as_xyz
'x,y,z'
'x,-y,z'
loop_
_atom_site_label
_atom_site_fract_x
_atom_site_fract_y
_atom_site_fract_z
_atom_site_occupancy
Ba1 0.000 0.000 0.000 1
Ba2 0.139 0.500 0.810 1
Ba3 0.638 0.000 0.499 1
Sr1 0.495 0.500 0.313 1
Y1 0.175 0.000 0.331 1
Y2 0.182 0.000 0.617 1
Y3 0.457 0.000 0.119 1
Y4 0.465 0.000 0.831 1
Y5 0.672 0.500 0.980 1
Y6 0.682 0.500 0.691 1
Y7 0.955 0.500 0.193 1
Y8 0.964 0.500 0.478 1
Cu1 0.290 0.500 0.068 1
Cu2 0.351 0.500 0.565 1
Cu3 0.787 0.000 0.245 1
Cu4 0.851 0.000 0.743 1
O1 0.152 0.000 0.805 1
O2 0.219 0.257 0.180 1
O3 0.233 0.257 0.472 1
O4 0.406 0.256 0.973 1
O5 0.424 0.254 0.677 1
O6 0.488 0.000 0.306 1
O7 0.647 0.500 0.498 1
O8 0.713 0.248 0.135 1
O9 0.732 0.244 0.837 1
O10 0.908 0.243 0.337 1
O11 0.923 0.247 0.632 1
O12 0.985 0.500 0.005 1
```

---

Ba2Tb2Ti2Cu2O11 | PBE-GGA | optimized geometry

E (MP2020)	-7.8458	eV per atom
V	12.82	A^3/atom

```
data_Ba2Tb2Ti2Cu2O11
_chemical_formula_sum 'Ba2 Tb2 Ti2 Cu2 O11'
_cell_length_a 3.907
_cell_length_b 3.907
_cell_length_c 15.956
_cell_angle_alpha 90.00
_cell_angle_beta 90.00
_cell_angle_gamma 90.00
_symmetry_space_group_name_H-M 'P 4/m m m'
_symmetry_Int_Tables_number 123
_symmetry_space_group_name_Hall '-P 4 2'
loop_
_atom_site_label
_atom_site_fract_x
_atom_site_fract_y
_atom_site_fract_z
_atom_site_occupancy
Ba1 0.000 0.000 0.233 1
Tb1 0.000 0.000 0.000 1
Tb2 0.000 0.000 0.500 1
Ti1 0.500 0.500 0.377 1
Cu1 0.500 0.500 0.102 1
O1 0.000 0.500 0.091 1
O2 0.000 0.500 0.391 1
O3 0.500 0.500 0.259 1
O4 0.500 0.500 0.500 1
```

---

Ba2CuTeO2 | PBE-GGA | optimized geometry

E (MP2020)	-5.4022	eV per atom
V	23.18	A^3/atom

```
data_Ba2CuTeO2
_chemical_formula_sum 'Ba2 Cu1 Te1 O2'
_cell_length_a 4.142
_cell_length_b 4.142
_cell_length_c 8.105
_cell_angle_alpha 90.00
_cell_angle_beta 90.00
_cell_angle_gamma 90.00
_symmetry_space_group_name_H-M 'P 4/m m m'
_symmetry_Int_Tables_number 123
_symmetry_space_group_name_Hall '-P 4 2'
loop_
_atom_site_label
_atom_site_fract_x
_atom_site_fract_y
_atom_site_fract_z
_atom_site_occupancy
Ba1 0.000 0.000 0.221 1
Cu1 0.500 0.500 0.000 1
Te1 0.500 0.500 0.500 1
O1 0.000 0.500 0.000 1
```

---

Ba2YTlCu2O7 | PBE-GGA | optimized geometry

E (MP2020)	-6.4855	eV per atom
V	14.82	A^3/atom

```
data_Ba2YTlCu2O7
_chemical_formula_sum 'Ba2 Y1 Tl1 Cu2 O7'
_cell_length_a 3.878
_cell_length_b 3.878
_cell_length_c 12.810
_cell_angle_alpha 90.00
_cell_angle_beta 90.00
_cell_angle_gamma 90.00
_symmetry_space_group_name_H-M 'P 4/m m m'
_symmetry_Int_Tables_number 123
_symmetry_space_group_name_Hall '-P 4 2'
loop_
_atom_site_label
_atom_site_fract_x
_atom_site_fract_y
_atom_site_fract_z
_atom_site_occupancy
Ba1 0.000 0.000 0.207 1
Y1 0.000 0.000 0.500 1
Tl1 0.500 0.500 0.000 1
Cu1 0.500 0.500 0.375 1
O1 0.000 0.000 0.000 1
O2 0.000 0.500 0.388 1
O3 0.500 0.500 0.165 1
```

---

Ba2TmCu3O7 | PBE-GGA | optimized geometry

E (MP2020)	-6.4461	eV per atom
V	13.55	A^3/atom

```
data_Ba2TmCu3O7
_chemical_formula_sum 'Ba2 Tm1 Cu3 O7'
_cell_length_a 3.822
_cell_length_b 3.926
_cell_length_c 11.738
_cell_angle_alpha 90.00
_cell_angle_beta 90.00
_cell_angle_gamma 90.00
_symmetry_space_group_name_H-M 'P m m m'
_symmetry_Int_Tables_number 47
loop_
_symmetry_equiv_pos_as_xyz
'x,y,z'
'-x,-y,-z'
'-x,-y,z'
'x,y,-z'
'x,-y,-z'
'-x,y,z'
'-x,y,-z'
'x,-y,z'
loop_
_atom_site_label
_atom_site_fract_x
_atom_site_fract_y
_atom_site_fract_z
_atom_site_occupancy
Ba1 0.000 0.000 0.182 1
Tm1 0.000 0.000 0.500 1
Cu1 0.500 0.500 0.000 1
Cu2 0.500 0.500 0.356 1
O1 0.000 0.500 0.382 1
O2 0.500 0.000 0.000 1
O3 0.500 0.000 0.381 1
O4 0.500 0.500 0.162 1
```

---